Friday 28 February 2014

Go on, give your dream a chance and share it with the world!

One thing I've found out about having a desire, a dream, a goal, is that sharing it with others helps the desire, dream or goal manifest itself. This takes a degree of awareness, though, because I don't mean you should go and blurt out your ambition over a speaker in a city centre. What I mean is, pay attention to when you feel the need to tell someone about your plans.

Then go ahead and do it.

This was one such occasion.

I was talking to a retired chap who I've got to know over the past eighteen months. He asked if there was anything new with me. I could've said a vague, 'Just another day', but I felt the urge to tell him about my plans to move to Taiwan. At the time, I had kept these intentions quite close to my chest.

'I was in the Merchant Navy for nine years,' he said. 'I scrapped my last ship in Taiwan.'

 . . . (and there's the first connection to my desire) . . .

He said that during his time in the Navy, he had a few harrowing moments.

'Being the only engineer on-board,' he said, 'if there was any problems, the crew would come to me. That's a lot of pressure for a young lad. I remember once, we thought the propeller had broken. In the middle of the ocean, I dangled over the edge of the ship to fix the problem. Many things go through your head when faced with such an experience. I thought my time was up. Anyway, the propeller hadn't broken.'

I asked him if being in the Navy was what he had always wanted to do.

[Attached: data records]
=====
Entry 1:
This entry pairs a crystal structure of CsYC2O6 with its calculated X-ray diffraction stick pattern. Radiation: Cu Kα X-rays. Structure: a cell relaxed with GGA-PBE.
No peak broadening, texture or thermal motion is included.

Structure:
Unit cell a=6.5317 b=6.5317 c=7.4919 alpha=105.00 beta=105.00 gamma=91.57
Atoms (fractional coordinates):
Cs 0.0984 0.9016 0.7500
Cs 0.9016 0.0984 0.2500
Y 0.4059 0.5941 0.2500
Y 0.5941 0.4059 0.7500
C 0.1516 0.4093 0.7674
C 0.4093 0.1516 0.2674
C 0.5907 0.8484 0.7326
C 0.8484 0.5907 0.2326
O 0.0471 0.6012 0.2430
O 0.2252 0.2937 0.6333
O 0.2937 0.2252 0.1333
O 0.2957 0.5392 0.9127
O 0.3988 0.9529 0.2570
O 0.4608 0.7043 0.5873
O 0.5392 0.2957 0.4127
O 0.6012 0.0471 0.7430
O 0.7043 0.4608 0.0873
O 0.7063 0.7748 0.8667
O 0.7748 0.7063 0.3667
O 0.9529 0.3988 0.7570

Largest 10 diffraction maxima, by angle, 2θ from 10° to 90°:
Position (°2θ)	d [Å]	I/Imax
21.01	4.229	36.6
22.90	3.884	46.7
25.61	3.478	64.8
26.45	3.369	17.1
27.78	3.211	100.0
34.44	2.604	36.3
41.56	2.173	28.3
43.56	2.078	19.7
44.22	2.048	15.9
44.33	2.044	19.0

Entry 2:
This entry pairs a crystal structure of Hf5Sc5Ge6 with its calculated X-ray diffraction stick pattern. Radiation: Cu Kα X-rays. Structure: a cell relaxed with GGA-PBE.
No peak broadening, texture or thermal motion is included.

Structure:
Unit cell a=5.6523 b=7.9538 c=7.9538 alpha=119.80 beta=90.00 gamma=90.00
Atoms (fractional coordinates):
Hf 0.0000 0.0000 0.0000
Hf 0.0000 0.2431 0.4893
Hf 0.0000 0.4893 0.2431
Hf 0.5000 0.2436 0.9974
Hf 0.5000 0.9974 0.2436
Sc 0.2491 0.5785 0.9123
Sc 0.2491 0.9123 0.5785
Sc 0.5000 0.4918 0.4918
Sc 0.7509 0.5785 0.9123
Sc 0.7509 0.9123 0.5785
Ge 0.0000 0.2445 0.8542
Ge 0.0000 0.6337 0.6337
Ge 0.0000 0.8542 0.2445
Ge 0.5000 0.2455 0.6348
Ge 0.5000 0.6348 0.2455
Ge 0.5000 0.8547 0.8547

Largest 10 diffraction maxima, by angle, 2θ from 10° to 90°:
Position (°2θ)	d [Å]	I/Imax
12.83	6.901	25.4
22.34	3.979	22.8
27.39	3.256	18.5
31.66	2.826	40.9
34.31	2.614	28.2
34.45	2.603	16.5
38.00	2.368	100.0
38.07	2.364	41.4
39.11	2.303	65.4
60.66	1.527	42.2
=====
[Here the piece continues]

'No, no,' he said. 'When I was twenty-one, I set myself a goal to be the director of a company. I didn't know which company, but I knew I wanted to be a director.'

'Did you achieve your goal?'

His eyes twinkled as he smiled. 'Yes, I achieved it. I worked for a company for twenty years and became the director. I achieved what I set out to achieve. If you really want to do something, you'll do it.'

One thing you should know about myself is that I've only been abroad once - and that was on a family holiday when I was fifteen (sixteen years ago). I've had very little travelling experience. I've never caught the 'travelling bug' that so many of my friends have been infected by in the past - some are still trying to shake it off. Even now, I don't see my trip to Taiwan as a holiday but more as a process of uprooting. After all, we're not trees - we can move. With that in mind, it's only natural that a sense of trepidation sometimes sneaks its way into my gut when I think of the mission I've embarked upon.

This fear was completely eradicated by what my friend went on to say, which backs up what I said about encounters that help the desire become manifest.

'I had never been out of the village before joining the Navy,' he said. 'No travelling experience whatsoever. Yet, it was the best thing I ever did. I've traveled the world. Go to Taiwan. You'll love it. You only regret the things you don't do.'

Inserted here: records of crystals =
No. 1
Starting from the GGA-PBE geometry in Alexandria, the XRD peak list of Ba3Tb3NdSe8 was calculated for λ = 1.5418 Å (Cu Kα).
No peak broadening, texture or thermal motion is included.

Peak list (10 most intense, 2θ = 5–70°, in order of rising 2θ)
hkl 0 0 3, 2θ = 11.77°, d 7.520, rel. 13; hkl 2 0 2, 2θ = 25.45°, d 3.499, rel. 7; hkl 0 2 4, 2θ = 28.97°, d 3.083, rel. 100; hkl 2 0 8, 2θ = 40.29°, d 2.239, rel. 37; hkl 2 2 0, 2θ = 42.54°, d 2.125, rel. 36; hkl 0 0 12, 2θ = 48.42°, d 1.880, rel. 6; hkl 4 0 4, 2θ = 52.29°, d 1.750, rel. 19; hkl 0 4 8, 2θ = 60.02°, d 1.541, rel. 11; hkl 2 2 12, 2θ = 66.39°, d 1.408, rel. 14; hkl 2 4 4, 2θ = 69.60°, d 1.351, rel. 16

Structure:
Cell: 8.5007 8.5007 22.5611 Å, 90.00 90.00 120.00°
Space group R-3m (No. 166, hexagonal axes)
Symmetry-distinct sites (fractional):
1 Ba 0.0000 0.5000 0.0000
2 Tb 0.0000 0.5000 0.5000
3 Nd 0.0000 0.0000 0.5000
4 Se 0.0000 0.0000 0.2381
5 Se 0.0088 0.5044 0.7613

---

No. 2
Starting from the GGA-PBE geometry in Alexandria, the XRD peak list of Tm4CdTe2 was calculated for λ = 1.5418 Å (Cu Kα).
No peak broadening, texture or thermal motion is included.

Peak list (10 most intense, 2θ = 5–70°, in order of rising 2θ)
hkl 0 4 0, 2θ = 26.65°, d 3.345, rel. 90; hkl 1 3 3, 2θ = 29.92°, d 2.987, rel. 46; hkl 3 1 1, 2θ = 30.36°, d 2.944, rel. 100; hkl 1 1 5, 2θ = 35.54°, d 2.526, rel. 56; hkl 2 4 2, 2θ = 35.69°, d 2.516, rel. 27; hkl 3 3 1, 2θ = 35.93°, d 2.499, rel. 28; hkl 0 4 4, 2θ = 38.04°, d 2.366, rel. 48; hkl 3 3 3, 2θ = 40.83°, d 2.210, rel. 31; hkl 3 5 1, 2θ = 45.29°, d 2.002, rel. 27; hkl 4 2 4, 2θ = 49.68°, d 1.835, rel. 27

Structure:
Cell: 9.292 13.364 13.400 Å, 90.00 90.00 90.00°
Space group Fddd (No. 70, origin choice 2)
Symmetry-distinct sites (fractional):
1 Tm 0.071 0.279 0.471
2 Cd 0.125 0.125 0.625
3 Te 0.000 0.000 0.000

---

No. 3
Starting from the GGA-PBE geometry in Alexandria, the XRD peak list of Sr2CaAcIn4 was calculated for λ = 1.5418 Å (Cu Kα).
No peak broadening, texture or thermal motion is included.

Peak list (10 most intense, 2θ = 5–70°, in order of rising 2θ)
hkl 0 0 3, 2θ = 9.46°, d 9.352, rel. 7; hkl 1 0 1, 2θ = 18.23°, d 4.867, rel. 7; hkl 0 1 5, 2θ = 24.00°, d 3.708, rel. 5; hkl 1 0 7, 2θ = 28.67°, d 3.114, rel. 3; hkl 1 1 0, 2θ = 31.32°, d 2.856, rel. 100; hkl 2 0 8, 2θ = 44.88°, d 2.020, rel. 18; hkl 1 0 16, 2θ = 55.62°, d 1.653, rel. 9; hkl 3 0 0, 2θ = 55.78°, d 1.648, rel. 28; hkl 0 2 16, 2θ = 65.25°, d 1.430, rel. 6; hkl 2 2 0, 2θ = 65.43°, d 1.426, rel. 6

Structure:
Cell: 5.7058 5.7058 28.0559 Å, 90.00 90.00 120.00°
Space group R-3m (No. 166, hexagonal axes)
Symmetry-distinct sites (fractional):
1 Sr 0.0000 0.0000 0.2477
2 Ca 0.0000 0.0000 0.5000
3 Ac 0.0000 0.0000 0.0000
4 In 0.0000 0.0000 0.1261
5 In 0.0000 0.0000 0.3766

----------

Record 1
Theoretical X-ray powder pattern of YCu for λ = 1.5418 Å (Cu Kα), from DFT lattice parameters and positions (PBE).

Structure:

Next time you feel the urge to share your dream with someone - do it!

Wednesday 26 February 2014

Allowing Children to Enjoy the Silence

After writing my last post, I contacted a friend who teachers in the south of England.

We met back in 2001, when we both did a diploma in Dance Music Production at the School of Sound Recording in Manchester.

We were both deeply into our music - it's funny how things have changed.

As the years have gone by, we both laid the music to rest and focused our attention on other fields of interest. Mine was writing. His was teaching.

He has said in the past how much he loves his job. I admire him for this. There're not many people who can say the same. One of the things I always remember him saying was that he introduced meditation into his classroom.

Last night, after writing my previous post, I sent him a message asking him if he still asks his class to meditate.

His answer was music to my ears.

"Yes, I introduced meditation in my class first and then rolled it out to the whole school, so every class meditates at my school now to varying degrees.

"In terms of the effect it has had in my class, I would say it has created a calmer atmosphere in my class. And when a classroom is calm, the teacher is calm and when the teacher is calm, the kids are calm, etc, etc it's a virtuous circle.
"My class came up with our motto which is "A calm mind is a happy mind and a happy mind is a smart mind".
"In the middle of lessons I have introduced mindful moments. I ring the singing bowl when the kids are busy working and they immediately put down their pencils, stop working, place feet flat on the floor, straight spines and just focus on their breathing. A minute later, I ring the bowl again and they carry on. It's gives them some head-space.
"Just today, when doing some tricky maths using brackets in equations, I rang the singing bowl. The class stopped. A minute later I rang it again and they carried on. One of the kids came up to me at the end and said "I was really glad of that mindful moment because I was getting stressed with a hard question. But after the mindful moment, I found the answer". And sometimes meditation works like that. " :) (his smiley face)
Need we say more?

Tuesday 25 February 2014

Mindful Children

A few weeks ago I visited Glasgow to watch the showing of the Studio Ghibli film, The Wind Rises.
The weather wasn’t too good, so I decided to grab a seat in the theatre’s cafe and read my book.
I didn't intend on sitting there for two hours, but that’s what happened. I was quite content watching people come and go, in and out of the movie theatre. Some were anticipating the film they were about to see, and others were sharing experiences of the film they had just seen. All the while, I sipped my coffee, read my book and occasionally looked at my watch to make sure I didn't miss the 16:40 showing.
Two elderly women sat down at the table next to me. With them were two boys of about nine years old. Who the women were in relation to the boys, I don’t know.
The boys started to colour in a colouring book whilst the women spoke about wine and the latest results on The Voice.
I drifted off into the world that my book provided me with. All of sudden, they started to talk about (it probably wasn’t all of a sudden at all, but for me this topic of discussion came from nowhere) . . . . meditation and mindfulness.
My eyes were focused on the page in front of me but weren't absorbing anything whatsoever. My ears, on the other hand, were on high alert.
One of the women said, ‘I just can’t do it. My mind won’t calm down. I have too many thoughts – it’s hectic. I just don’t know how he does it.’
Then this is where it got interesting. One of the boys said, ‘I’ll tell you how I do it.’
The ‘he’ the woman was referring to was one of the kids!
The boy continued, ‘When a thought comes, I just let it go. Like a cloud. I watch them and don’t grab onto them. Then they just disappear.’ He then went back to his colouring.
It turns out that these boys were being taught mindfulness and meditation at school.
That’s fantastic.
Every school should include mindfulness and meditation as part of the national curriculum.
As the Dalai Lama said, ‘If every eight year old in the world is taught meditation, we will eliminate violence from the world within one generation.’
It sounds far-fetched, but imagine if it’s true!
I know some schools have already introduced such methods in their daily routines. Like sitting in silence, eyes closed, for a few minutes before class starts. Or doing a few minutes at the end of the day.
I’ve just read this interesting article from last year. It was published in The Guardian and was written by Andrew Jones who is the head of religious studies and sociology at a Goffs School in Hertfordshire.
Oh look, more clouds.

Monday 24 February 2014

Killing Time

Time  - do we really have enough of it to kill?

Some simple calculations massively changed my perspective of the time I had here on this amazing planet.
  1. If I live till I'm 80 years old, from the moment I was born, I was assigned approx 29,200 days. 
  2. This is also the approximate number of sunrises and sunsets that are available to see.
  3. If I live till I'm 80 years old, from the moment I was born, I was assigned approx 4160 weeks.
  4. This is also the approximate number of the amount of weekends I will have. 
  5. If I live till I'm 80 years old, from the moment I was born, I was assigned approx 960 months.
  6. This is also the approximate number of full moons I would get to see (if I remembered to look up).
  7. If I live till I'm 80 years old, from the moment I was born, I will get to see approximately 320 springs, summers, autumns and winters (although the winters could do with being less . . .)   
Your reaction to these simple figures will depend on your perspective of life and ultimately yourself.

I know so many people who talk about writing a book - who talk about starting a blog - who talk about starting a business - who talk about enrolling on a course . . . but they're just empty words because they're not backed up by action. 

The majority of those people, once those words have been expressed, sometimes with passion and determination too, get buried beneath idleness, doubt and ultimately fear.

I've lost count of the amount of people who say such things, but when they go home they sit in front of the TV or computer all night, watching videos, TV series and playing on computer games. Now, I'm not against these things, each to their own. We all have our ways to relax. But it's when those same people complain about and/or mock those of us who are trying to make the most of our time here, that pisses me off. Those of us who have looked at the figures above and said, 'Shit . . . I don't have much time left. I'm going to do it!' . . . whatever that may be. Yet, when things start to go well and fit into place for those of us who make the effort, the idle ones sit back, the TV screen shimmering on their faces, and they say, 'They're lucky.'

It has nothing to do with luck.

It has everything to do with desire, ambition, determination, self-belief, faith and tenacity.


By the time they've finished watching all of Breaking Bad, they could've finished the first draft of their first book - easily.

By the time they've completed the new Grand Theft Auto, they
could've started up a blog and be having thousands of hits . . . possibly a blog about computer games, which could be earning them a second income.

By the time they've finished watching meaningless videos on youtube and vimeo, they could've enrolled on a course . . . they could've even completed it and be walking on a new improved path.

Do NOT kill time - it is murder.

I was shown a postcard yesterday. It was written by a boy of six years old. It read:

"Yesterday is history, tomorrow is a mystery, but today is a gift. That is why it is called The Present. Make the most out of each day."

He might've got it from Kung fu Panda, but who cares!?

Tick Tock Tick Tock Tick Tock Tick TockTick Tock Tick TockTick Tock Tick TockTick Tock Tick

Sunday 23 February 2014

Life's Little Pokes

So, after embarking on the vast mission of learning Mandarin through the traditional system known as Zhuyin (also known as Bopomofo), instead of Pinyin, I've decided to do a TEFL course in preparation for my Taiwan trip.

If you don't already know, TEFL stands for Teaching English in a Foreign Language.

As a rule of thumb, if something gets brought to my awareness three times or more, I take it as a sign that I need to give it more attention. It's like Life is saying, 'Listen to me, will you!!'

TEFL got brought to my attention three times and more.

So I trusted the nudge and signed up.

It has cost me £299 for a weekend course (which ends in a certificate) but because I don't have a degree in English, I thought it would be wise to also complete the 120 hour online course.

This is the link I used:

I'll report back my experience after the weekend.

Teaching English in Taiwan wasn't originally part of my plan (I say my plan, may be it was always part of Life's plan). I'm remaining open-minded though, happy to flow along with Life's nudges. Trusting Life takes a lot of faith, but I've found that the more I trust -
the more faith I have in Life's plan, that Life tends to treat me like a best friend; constantly bringing opportunities to my door, helping me move forward, which leads to growth and expansion.

_Misplaced crystal structures_
-- begin --
Entry 1:
Computed powder diffractogram of PrHfO3 for λ = 1.5418 Å (Cu Kα), from the PBE geometry in the Materials Project.

Cell and atoms:
Unit cell a=4.1259 b=4.1259 c=4.1259 alpha=90.00 beta=90.00 gamma=90.00
Space group Pm-3m (No. 221)
Asymmetric unit:
Pr 0.0000 0.0000 0.0000
Hf 0.5000 0.5000 0.5000
O 0.0000 0.5000 0.5000

Main lines, by angle (10 to 90 degrees two-theta):
2θ = 21.5°, d 4.126, I 3, (1 0 0)
2θ = 30.6°, d 2.917, I 100, (1 1 0)
2θ = 43.9°, d 2.063, I 28, (2 0 0)
2θ = 49.4°, d 1.845, I 1, (2 1 0)
2θ = 54.5°, d 1.684, I 41, (2 1 1)
2θ = 63.8°, d 1.459, I 17, (2 2 0)
2θ = 68.2°, d 1.375, I 1, (3 0 0)
2θ = 72.4°, d 1.305, I 18, (3 1 0)
2θ = 80.7°, d 1.191, I 6, (2 2 2)
2θ = 88.7°, d 1.103, I 22, (3 2 1)



Entry 2:
Computed powder diffractogram of TcB2 for λ = 1.5418 Å (Cu Kα), from the PBE geometry in the Materials Project.

Cell and atoms:
Unit cell a=2.9028 b=2.9028 c=7.4726 alpha=90.00 beta=90.00 gamma=120.00
Space group P6_3/mmc (No. 194)
Asymmetric unit:
Tc 0.3333 0.6667 0.2500
B 0.3333 0.6667 0.5478

Main lines, by angle (10 to 90 degrees two-theta):
2θ = 23.8°, d 3.736, I 60, (0 0 2)
2θ = 35.7°, d 2.514, I 29, (1 0 0)
2θ = 37.8°, d 2.383, I 100, (1 0 1)
2θ = 43.4°, d 2.086, I 19, (1 0 2)
2θ = 48.7°, d 1.868, I 13, (0 0 4)
2θ = 51.7°, d 1.769, I 54, (1 0 3)
2θ = 64.2°, d 1.451, I 19, (1 1 0)
2θ = 69.5°, d 1.353, I 19, (1 1 2)
2θ = 76.9°, d 1.240, I 12, (2 0 1)
2θ = 84.5°, d 1.146, I 15, (1 1 4)
-- stop --
_So much for the crystal structures_

I'm starting to realise how fortunate I am to have English as my mother-tongue.

After all, if you can speak English and Mandarin, you can speak to over half of the population of the planet - pretty cool, eh!

Check out this Westerner known as Dashan. He's relatively unknown in the West, and his popularity in the East can be put down to his ability to speak Mandarin better than even some Chinese people. I'm determined to speak as fluently as this guy:


Pay attention to those nudges - Life's little pokes.

Friday 21 February 2014

Old Dog - New Tricks

I'm not one to shy away from a challenge.

It's for this reason that I've taken it upon myself to learn Mandarin.

Not only do I intend to learn Mandarin, but I'm putting aside the romanisation system known as pinyin and focusing on the traditional characters and way of reading them, known as Zhuyin.

Why would I put myself through such torture at the age of 30?

After all, you can't teach an old dog new tricks, right?


You can teach a dog new tricks if it's willing to learn them, regardless of its age.

Language has never been my strong point (the irony of a writer, I guess). I didn't start speaking till I was four years old. My parents said I made up my own language, and in my sleep I spoke in tongues. At school I hated studying French and German - opting to focus on German as I found it resembled English that little bit more.

So why have I decided to learn Mandarin, when I thought I had put all the 'language learning days' behind me?

I mean, I've always been drawn to the East. I've been a martial arts buff since I was knee-high. Bruce Lee has been my idol for as long as I can remember - even more so when I started to read his books and understand him as a philosopher, rather than a guy who only kicks ass on screen.

(Growing up, I knew my Nan shared the same birthday as Bruce Lee. I told her and she found it quite amusing and I found it cool. When she died in July, the date seemed somewhat familiar to me. And the reason was because she died on the same day as Bruce Lee, too. It may mean nothing, but to me it forges a connection to the guy who still inspires me to this day.)

Because of Mr Lee, I was drawn to Eastern thought and philosophy. I enjoyed watching documentaries about the East and even loved watching the Chinese cooking programs. I started drinking green tea before I was 10. And I've always found a bowl of plain rice really comforting!

So, I will ask again: why have I decided to learn Mandarin?

The answer can be reduced to four words.

I fell in love.

It's as simple as that.

Not only did I fall in love, but I fell in love with a girl who I met whilst living in a Buddhist Center and she was visiting the UK from . . . Taiwan.

Out of duty, she went back to her land far, far away and we intend to be with each other before this year is through.

So it is love that is my driving force. It is love that inspires me and eradicates all the fear and doubt I ever had about learning a new language. And the best thing is, I'm loving it. I'm truly enjoying the [slow] learning process that I've undertaken. I'm fascinated by Mandarin and how it all works. I'm fascinated by Taiwan and its history and its people.

And the more I learn the more I feel like I'm reminding myself of something which has always been within me.

I don't know about reincarnation or past lives (it makes sense if we consider that life has no beginning and no end) but it would explain my pull to the East.

As my girlfriend said, 'I feel like I've come to bring you home.'

And that's exactly why this old dog is wagging his tail.

(I know that most of you who are past your thirties will argue that 30 is young - but I'm afraid we in our thirties won't listen to you.)


I would like to introduce you to my website at 
Finally having a website to act as a secure base for my writing is something I’ve wanted for a long time.
I was going to have a website last year. A friend put me in touch with his web designer and I was happy to go along with it. But last November I bumped into a chap at the Post Office who I had met while playing badminton. We had only spoken two or three times, so we shared semi-awkward hellos, which was then followed by silent fillers; such as complaining how cold it was and whatnot.
More silence followed, but this time I had the urge to tell him I was putting money aside for a website. I can remember thinking, why would I tell him that? But this need to speak up wouldn’t leave me alone.
So I did.
‘Really?’ he said. ‘You do know I’m a web designer, right? That’s what I do.’
No I did not know that!
He handed me a business card.
I told him the price I had been quoted and he said he could do it for half of that!
Not only that, but the support and patience which Afzal (at HD1 Design) has provided, and continues to do so, has exceeded my expectations.
I’m truly grateful.
If you want a site creating, I highly recommend you get in touch with him.